Next, duplicate everything underneath character by character.

- - -
Below is an isolated molecule of C4H5P in a non-equilibrium geometry, with properties calculated with ωB97M-V/def2-TZVPD.

Last column: Mulliken charge in e.
Cartesian coordinates (Å):
C 0.027 1.087 -0.080  -0.410
C -0.548 0.293 0.839  -0.318
C -0.325 -1.156 0.406  -0.787
P 0.651 -1.138 -1.263  -0.106
C 0.659 0.564 -1.290  -0.305
H 0.015 2.065 0.153  0.427
H -1.048 0.478 1.768  0.388
H 0.596 -1.567 0.982  0.219
H -1.083 -1.851 0.517  0.521
H 1.057 1.225 -2.032  0.372

Properties
SMILES ... C1=CCP=C1
Energy ... -496.700673 Eh
E_LUMO ... 0.2 eV
HOMO ... -8.5 eV
Orbital gap ... 8.75 eV
Relative energy (zero: lowest compared OMol25 entry of this formula, charge and spin) ... 0.000 eV

Below is a structure of composition C29H51BaN6O3P, with properties calculated with ωB97M-V/def2-TZVPD.

Last column: Mulliken charge in e.
Cartesian coordinates (Å):
Ba 0.367 -0.313 1.195  1.108
C -1.439 1.745 4.397  -1.632
C -0.481 0.596 4.250  0.829
C 0.901 0.794 4.262  -0.282
C 1.781 -0.284 4.196  -0.629
C 1.293 -1.583 4.110  -0.740
C -0.084 -1.793 4.088  -0.427
C -0.959 -0.715 4.150  -0.377
H -2.001 1.650 5.327  0.461
H -2.167 1.771 3.583  0.274
H -0.913 2.698 4.425  0.324
H 1.294 1.799 4.366  0.425
H 2.849 -0.110 4.242  0.430
H 1.976 -2.423 4.094  0.500
H -0.475 -2.802 4.054  0.505
H -2.029 -0.890 4.160  0.469
C 0.423 3.279 0.768  -0.809
N -1.025 3.275 0.794  0.489
C -1.627 4.236 1.708  -1.348
C -1.750 2.371 0.078  -0.131
N -1.164 1.253 -0.308  0.280
C -1.655 0.617 -1.482  0.263
C -1.964 1.366 -2.616  -0.288
C -2.509 0.776 -3.744  -1.276
C -2.761 -0.589 -3.740  -0.826
C -2.405 -1.353 -2.642  -0.647
C -1.797 -0.782 -1.520  -0.456
N -1.432 -1.504 -0.363  -0.287
C -1.278 -2.810 -0.336  0.293
N -1.481 -3.413 0.887  0.750
C -2.662 -3.080 1.676  -0.804
C -0.835 -4.663 1.263  -1.179
N -0.842 -3.598 -1.348  0.237
C -1.397 -4.926 -1.593  -1.227
C 0.055 -3.111 -2.382  -0.910
N -3.060 2.669 -0.130  0.350
C -4.061 1.619 -0.258  -0.875
C -3.493 3.988 -0.578  -1.242
H 0.785 4.308 0.726  0.510
H 0.791 2.744 -0.104  0.096
H 0.849 2.829 1.678  0.157
H -1.059 4.244 2.639  0.444
H -2.653 3.956 1.928  0.413
H -1.615 5.249 1.301  0.343
H -1.784 2.435 -2.599  0.576
H -2.752 1.378 -4.609  0.486
H -3.229 -1.061 -4.594  0.468
H -2.620 -2.413 -2.645  0.657
H -3.111 -2.168 1.295  0.134
H -2.398 -2.939 2.725  0.221
H -3.392 -3.893 1.625  0.282
H 0.071 -4.807 0.681  0.382
H -1.485 -5.531 1.129  0.371
H -0.567 -4.614 2.320  0.308
H -2.234 -5.119 -0.928  0.390
H -0.645 -5.708 -1.470  0.381
H -1.766 -4.964 -2.620  0.398
H 0.526 -2.185 -2.065  0.097
H -0.467 -2.937 -3.326  0.371
H 0.828 -3.863 -2.547  0.493
H -3.699 0.704 0.206  0.158
H -4.308 1.410 -1.301  0.271
H -4.964 1.944 0.260  0.453
H -2.641 4.655 -0.676  0.385
H -4.217 4.428 0.109  0.379
H -3.963 3.890 -1.560  0.383
C 5.081 -1.059 -3.351  -1.012
C 5.496 -0.620 -1.970  -0.401
O 4.442 0.173 -1.340  -0.191
P 3.315 -0.545 -0.468  -0.092
O 1.932 -0.400 -1.324  -0.169
C 1.690 0.722 -2.246  0.831
C 1.272 0.184 -3.590  -1.262
O 2.950 0.713 0.566  0.142
C 4.026 1.342 1.317  -0.318
C 4.364 2.689 0.727  -1.094
H 5.905 -1.591 -3.828  0.460
H 4.828 -0.200 -3.973  0.282
H 4.224 -1.733 -3.311  0.189
H 6.361 0.037 -1.993  0.318
H 5.725 -1.471 -1.325  0.395
H 2.602 1.313 -2.312  0.810
H 0.901 1.327 -1.802  -0.669
H 2.039 -0.470 -4.005  0.231
H 1.125 1.016 -4.279  0.438
H 0.329 -0.360 -3.522  -0.008
H 4.895 0.681 1.323  0.452
H 3.669 1.433 2.344  0.193
H 4.727 2.582 -0.294  0.264
H 5.141 3.168 1.323  0.456
H 3.489 3.341 0.723  0.153

Properties
Energy ... -2056.415227 Eh
E_LUMO ... -4.8 eV
HOMO ... -12.6 eV
Orbital gap ... 7.80 eV
Total charge ... +2

Below is a cluster of 2 separate species, C27H41F3N2O8P2S in total in a non-equilibrium geometry, with properties calculated with ωB97M-V/def2-TZVPD.

Last column: Mulliken charge in e.
Cartesian coordinates (Å):
C -5.332 2.974 -3.565  -0.720
C -4.913 1.693 -4.043  -0.585
C -4.141 0.714 -3.056  0.393
C -4.720 -0.503 -2.572  0.367
C -6.170 -1.024 -2.995  -1.010
- - -

Below is an isolated molecule of C4H5P in a non-equilibrium geometry, with properties calculated with ωB97M-V/def2-TZVPD.

Last column: Mulliken charge in e.
Cartesian coordinates (Å):
C 0.027 1.087 -0.080  -0.410
C -0.548 0.293 0.839  -0.318
C -0.325 -1.156 0.406  -0.787
P 0.651 -1.138 -1.263  -0.106
C 0.659 0.564 -1.290  -0.305
H 0.015 2.065 0.153  0.427
H -1.048 0.478 1.768  0.388
H 0.596 -1.567 0.982  0.219
H -1.083 -1.851 0.517  0.521
H 1.057 1.225 -2.032  0.372

Properties
SMILES ... C1=CCP=C1
Energy ... -496.700673 Eh
E_LUMO ... 0.2 eV
HOMO ... -8.5 eV
Orbital gap ... 8.75 eV
Relative energy (zero: lowest compared OMol25 entry of this formula, charge and spin) ... 0.000 eV

Below is a structure of composition C29H51BaN6O3P, with properties calculated with ωB97M-V/def2-TZVPD.

Last column: Mulliken charge in e.
Cartesian coordinates (Å):
Ba 0.367 -0.313 1.195  1.108
C -1.439 1.745 4.397  -1.632
C -0.481 0.596 4.250  0.829
C 0.901 0.794 4.262  -0.282
C 1.781 -0.284 4.196  -0.629
C 1.293 -1.583 4.110  -0.740
C -0.084 -1.793 4.088  -0.427
C -0.959 -0.715 4.150  -0.377
H -2.001 1.650 5.327  0.461
H -2.167 1.771 3.583  0.274
H -0.913 2.698 4.425  0.324
H 1.294 1.799 4.366  0.425
H 2.849 -0.110 4.242  0.430
H 1.976 -2.423 4.094  0.500
H -0.475 -2.802 4.054  0.505
H -2.029 -0.890 4.160  0.469
C 0.423 3.279 0.768  -0.809
N -1.025 3.275 0.794  0.489
C -1.627 4.236 1.708  -1.348
C -1.750 2.371 0.078  -0.131
N -1.164 1.253 -0.308  0.280
C -1.655 0.617 -1.482  0.263
C -1.964 1.366 -2.616  -0.288
C -2.509 0.776 -3.744  -1.276
C -2.761 -0.589 -3.740  -0.826
C -2.405 -1.353 -2.642  -0.647
C -1.797 -0.782 -1.520  -0.456
N -1.432 -1.504 -0.363  -0.287
C -1.278 -2.810 -0.336  0.293
N -1.481 -3.413 0.887  0.750
C -2.662 -3.080 1.676  -0.804
C -0.835 -4.663 1.263  -1.179
N -0.842 -3.598 -1.348  0.237
C -1.397 -4.926 -1.593  -1.227
C 0.055 -3.111 -2.382  -0.910
N -3.060 2.669 -0.130  0.350
C -4.061 1.619 -0.258  -0.875
C -3.493 3.988 -0.578  -1.242
H 0.785 4.308 0.726  0.510
H 0.791 2.744 -0.104  0.096
H 0.849 2.829 1.678  0.157
H -1.059 4.244 2.639  0.444
H -2.653 3.956 1.928  0.413
H -1.615 5.249 1.301  0.343
H -1.784 2.435 -2.599  0.576
H -2.752 1.378 -4.609  0.486
H -3.229 -1.061 -4.594  0.468
H -2.620 -2.413 -2.645  0.657
H -3.111 -2.168 1.295  0.134
H -2.398 -2.939 2.725  0.221
H -3.392 -3.893 1.625  0.282
H 0.071 -4.807 0.681  0.382
H -1.485 -5.531 1.129  0.371
H -0.567 -4.614 2.320  0.308
H -2.234 -5.119 -0.928  0.390
H -0.645 -5.708 -1.470  0.381
H -1.766 -4.964 -2.620  0.398
H 0.526 -2.185 -2.065  0.097
H -0.467 -2.937 -3.326  0.371
H 0.828 -3.863 -2.547  0.493
H -3.699 0.704 0.206  0.158
H -4.308 1.410 -1.301  0.271
H -4.964 1.944 0.260  0.453
H -2.641 4.655 -0.676  0.385
H -4.217 4.428 0.109  0.379
H -3.963 3.890 -1.560  0.383
C 5.081 -1.059 -3.351  -1.012
C 5.496 -0.620 -1.970  -0.401
O 4.442 0.173 -1.340  -0.191
P 3.315 -0.545 -0.468  -0.092
O 1.932 -0.400 -1.324  -0.169
C 1.690 0.722 -2.246  0.831
C 1.272 0.184 -3.590  -1.262
O 2.950 0.713 0.566  0.142
C 4.026 1.342 1.317  -0.318
C 4.364 2.689 0.727  -1.094
H 5.905 -1.591 -3.828  0.460
H 4.828 -0.200 -3.973  0.282
H 4.224 -1.733 -3.311  0.189
H 6.361 0.037 -1.993  0.318
H 5.725 -1.471 -1.325  0.395
H 2.602 1.313 -2.312  0.810
H 0.901 1.327 -1.802  -0.669
H 2.039 -0.470 -4.005  0.231
H 1.125 1.016 -4.279  0.438
H 0.329 -0.360 -3.522  -0.008
H 4.895 0.681 1.323  0.452
H 3.669 1.433 2.344  0.193
H 4.727 2.582 -0.294  0.264
H 5.141 3.168 1.323  0.456
H 3.489 3.341 0.723  0.153

Properties
Energy ... -2056.415227 Eh
E_LUMO ... -4.8 eV
HOMO ... -12.6 eV
Orbital gap ... 7.80 eV
Total charge ... +2

Below is a cluster of 2 separate species, C27H41F3N2O8P2S in total in a non-equilibrium geometry, with properties calculated with ωB97M-V/def2-TZVPD.

Last column: Mulliken charge in e.
Cartesian coordinates (Å):
C -5.332 2.974 -3.565  -0.720
C -4.913 1.693 -4.043  -0.585
C -4.141 0.714 -3.056  0.393
C -4.720 -0.503 -2.572  0.367
C -6.170 -1.024 -2.995  -1.010